Oscilloscope manufacturers provide more functionality for less
4 mins read
You might think that users at the lower end of the oscilloscope market were not interested in performance. But you would be wrong, as leading oscilloscope manufacturers are bringing technology to bear in an attempt to meet users' demands.

Peter Kasenbacher, Agilent's European product line manager for oscilloscopes, noted: "Even in the general purpose market, new technology is playing an important role." And the new technology to which Kasenbacher refers is a range of asics. "ASICs bring better performance to a new price point." Agilent's latest asic for oscilloscopes is MegaVision IV, a 90nm design featuring 6million gates and 40Mbit of embedded dram.
The part, capable of supporting 1m updates per second, is performing tasks previously undertaken in software. Software based processing is now seen as something that slows performance. Agilent is not alone in looking to advanced technology to bring more functionality to its products; both Tektronix and LeCroy have made similar investments.
Dave Ireland, European marketing manager with Tektronix, said: "Developing asics for these applications requires a substantial investment. Once that investment has been made, it will migrate over time down the product portfolio and allow us to get a return over the longer term." Why is this increase in functionality needed?
Bill Driver, product marketing manager with LeCroy, noted: "There is a trend towards the use of analysis tools. A general purpose scope will only go so far to meeting their needs. Then, it's a case of what else we can offer. For example," he continued, "power supply designers need to know about things that aren't normally seen on a scope. They're asking 'how do I solve problems which aren't easy to see, but which are there?'."
Ireland's view is: "It's because customers are having to take more work on board. Things like serial buses. If you look at USB3, you're talking about a high performance serial bus and that level of performance requires more from the scope, including an appropriate bandwidth. Nevertheless, while you might have the ability in the scope, the signal path is becoming the limiting factor."
Driver said a combination of hardware and software tools was helping to bring different views of problems. "Then, designers can focus on one offs or rare events which cost time and money. Our focus is on making designers lives easier." Much like you can get your favourite burger 'super sized', there is an emerging trend towards the provision of 'super scopes'.
+++
w:
Material: Hg3SeO6
Method: DFT, GGA-PBE
State: relaxed

a = 7.286 Å, b = 7.286 Å, c = 10.638 Å
α = 90.00°, β = 90.00°, γ = 120.00°
Element x y z (fractional)
1 Hg 0.999 0.697 0.662
2 Hg 0.316 0.811 0.973
3 Hg 0.189 0.505 0.307
4 Hg 0.303 0.301 0.995
5 Hg 0.495 0.684 0.640
6 Hg 0.500 0.188 0.678
7 Hg 0.688 0.500 0.345
8 Hg 0.812 0.312 0.012
9 Hg 0.699 0.001 0.328
10 Se 0.234 0.016 0.328
11 Se 0.782 0.766 0.994
12 Se 0.984 0.218 0.661
13 O 0.001 0.875 0.400
14 O 0.283 0.864 0.228
15 O 0.326 0.846 0.707
16 O 0.154 0.480 0.040
17 O 0.136 0.419 0.562
18 O 0.125 0.126 0.733
19 O 0.250 0.217 0.241
20 O 0.520 0.674 0.374
21 O 0.581 0.717 0.895
22 O 0.429 0.121 0.436
23 O 0.874 0.999 0.066
24 O 0.482 0.153 0.947
25 O 0.672 0.518 0.614
26 O 0.693 0.571 0.103
27 O 0.967 0.750 0.907
28 O 0.847 0.328 0.281
29 O 0.879 0.307 0.770
30 O 0.783 0.033 0.574

=====

x:
Material: Hg3SeO6
Method: DFT, GGA-PBE
State: relaxed

Properties
* total magnetization: 0.19 μB per formula unit

a = 7.428 Å, b = 7.555 Å, c = 10.119 Å
α = 89.79°, β = 90.63°, γ = 119.18°
Element x y z (fractional)
1 Hg 0.651 0.006 0.658
2 Hg 0.809 0.329 0.960
3 Hg 0.952 0.626 0.298
4 Hg 0.640 0.484 0.647
5 Hg 0.474 0.138 0.300
6 Hg 0.446 0.626 0.344
7 Hg 0.299 0.297 0.007
8 Hg 0.246 0.574 0.739
9 Hg 0.344 0.824 0.027
10 Se 0.953 0.107 0.330
11 Se 0.784 0.806 0.994
12 Se 0.147 0.101 0.603
13 O 0.861 0.257 0.269
14 O 0.768 0.302 0.722
15 O 0.647 0.575 0.922
16 O 0.635 0.477 0.353
17 O 0.492 0.157 0.048
18 O 0.375 0.131 0.546
19 O 0.694 0.808 0.145
20 O 0.539 0.704 0.594
21 O 0.158 0.154 0.234
22 O 0.220 0.259 0.736
23 O 0.102 0.264 0.477
24 O 0.165 0.496 0.964
25 O 0.283 0.784 0.268
26 O 0.744 0.972 0.903
27 O 0.101 0.599 0.528
28 O 0.089 0.773 0.711
29 O 0.031 0.721 0.577
30 O 0.031 0.867 0.000

=====

Most stable: w

=====

w:
Material: Hg3P
Method: DFT, GGA-PBE
State: relaxed

Properties
* total magnetization: 0.00 μB per formula unit

a = 5.072 Å, b = 5.072 Å, c = 5.072 Å
α = 60.00°, β = 60.00°, γ = 60.00°
Element x y z (fractional)
1 Hg 0.250 0.250 0.250
2 Hg 0.750 0.750 0.750
3 Hg 0.500 0.500 0.500
4 P 0.000 0.000 0.000

=====

x:
Material: Hg3P
Method: DFT, GGA-PBE
State: relaxed

Properties
* total magnetization: 0.00 μB per formula unit

a = 5.981 Å, b = 5.981 Å, c = 6.054 Å
α = 90.00°, β = 90.00°, γ = 120.00°
Element x y z (fractional)
1 Hg 0.832 0.168 0.750
2 Hg 0.337 0.168 0.750
3 Hg 0.832 0.663 0.750
4 Hg 0.168 0.832 0.250
5 Hg 0.663 0.832 0.250
6 Hg 0.168 0.337 0.250
7 P 0.667 0.333 0.250
8 P 0.333 0.667 0.750

=====

Most stable: x

=====

w:
Material: Hg3Pt
Method: DFT, GGA-PBE
State: relaxed

Properties
* total magnetization: 0.00 μB per formula unit

a = 4.344 Å, b = 4.344 Å, c = 4.344 Å
α = 90.00°, β = 90.00°, γ = 90.00°
Element x y z (fractional)
1 Hg 0.000 0.500 0.500
2 Hg 0.500 0.000 0.500
3 Hg 0.500 0.500 0.000
4 Pt 0.000 0.000 0.000

=====

x:
Material: Hg3Pt
Method: DFT, GGA-PBE
State: relaxed

Properties
* total magnetization: 0.00 μB per formula unit
+++
[So much for the materials data]
Driver explained: "We have had the situation where our traditional 8bit products don't provide the accuracy which designers need. This can cause them to not carry on with their projects." But he also contended that scopes mean different things to different users. "Some believe scopes are good for dc measurement," he noted. "That requires good precision and that has driven development of the WaveRunner HRO 6 Zi, where we have tried to get accuracy down to 0.5% – a factor of four improvement. That's not specmanship, that's a necessity and we want our scopes to be as accurate as dmms and dvms, but we're not there yet."
Ireland had a similar view: "We're giving engineers the opportunity to access more features at an affordable price and that's what's behind the DPO5000 series; taking high end technology and migrating it to a Windows based platform." Despite being 'super sized', scopes remain a design tool and live, in general, on the bench.
"It's a key piece of equipment," Driver accepted, "but scopes have traditionally been used with other devices. As bench space shrinks and budgets decline, there is a move to one instrument – and that's generally a scope. The challenge for us is to squeeze more into a smaller box."
Bandwidth is a figure of interest. "WavePro scopes now offer 3 to 6GHz, but are being used in the same market space," said Driver. "Similarly, WaveRunner devices offer 2 to 4GHz." He said that it is sometimes hard to believe the speed with which scopes are now being developed. "For LeCroy, the challenge is turn round time; integrating new ideas with the existing architecture. We're finding things can't always fit."
What has enabled WavePro scopes to run up to 6GHz is a new chipset with a 40Gsample/s a/d converter. "That chip also allows WaveMaster scopes to push up to 45GHz," said Driver. "We're sharing technologies between platforms, but it takes a couple of years to develop products and bring them to market." But there's only so much 'shrinkage' that can be done.
"We'd like to scale WaveMaster down and sell it as a lower end product," Driver admitted, "but you can only go so far before it doesn't make economic sense." The other way to approach that problem is to offer users an upgrade path; an approach driven by Agilent over the last few years. By offering upgrades, Agilent believes its customers investment is protected.
Driver asserted: "Customers now demand this; they are more comfortable with a product that can be upgraded." Agilent's recently announced 2000 and 3000 series devices, in Kasenbacher's opinion, bring 'more scope' to the user. "They have the largest screens in their class, they have the deepest memory and the fastest waveform update rate."
Kasenbacher recognises the increasing pressure on bench space. "Designers don't have enough bench space," he observed, "so putting things together makes sense. But the intrinsic performance must be good." He said those using mixed signal scopes generally have only a few comms lines, so providing 8 or 16 is fine. "If they need more than that, they really should be using a logic analyser," he commented.
Yet even in a sector where products have been developed over decades, there is still room for innovation. In LeCroy's case, it's a pivoting display. Driver thinks the ability to look at signals in a portrait format will be important. "Now, users can look at up to 36 digital lines and see a lot more detail. We don't see this as a gimmick."
Despite what a scope can do, how it's designed remains important, as recently retired Agilent engineer John Campbell notes. "In the InfiniiVision X-Series, there are 26 different models. These can be configured by combining three final assemblies. These assemblies draw from a total of 11 sub assemblies – four front panels, six acquisition and one rear end/supply assembly. The internal structure and assembly can represent real value to the end customer, but the designer must primarily satisfy those who have to produce the product."
Ireland said there was more to mid range scopes than just providing the instrument itself. "We have to give support beyond the physical level, such as protocol support. Engineers want to use the scope to see what's going on. Trying to look at a USB3 design without the coding attached doesn't help very much; they need to know how data packets get from A to B," he concluded.